On 23rd September the Orwellian sounding UN Regional Information Centre for Western Europe announced that:
For the first time the European Parliament will be represented at the UN General Assembly opening next Tuesday in New York ... Parliament’s inclusion in the official EU delegation “shows the honest commitment of European Heads of State and Government to further democratisation and parliamentarisation of the European Union” ... the official EU delegation will also include European Council President Herman Van Rompuy, European Commission President Jose Manuel Barroso, and EU High Representative for Foreign Affairs and Security Policy, Baroness Catherine Ashton.
What a hypocritical statement from the EU evidenced by the fact that democracy has been hijacked by the likes of Van Rompuy, Barroso and Ashton who were never directly elected by the voters of the EU in the first place. We all know from past experience that rather than deliver on their promises politicians from both the UK and EU deliver the exact opposite. Who could possibly forget their demonstrated contempt for the will of the people evidence by their total disregard of previous results of various referenda.
The UN news release also made reference to the fact that ‘Othmar Karas, Vice President of the European Parliament will focus on access to justice, the rule of law and the essential role that parliaments play in it at Wednesday’s meeting of the Inter-Parliamentary Union (IPU), on the occasion of the high-level meeting of the United Nations General Assembly on the rule of law’. We, at the UK Column, suggest to our readers that what they really mean is LESS access to justice and a shift away from the rule of law.
The Inter Parliamentary Union (IPU)

The IPU is the international organization of Parliaments. It was created in 1889 on the initiative of two parliamentarians, William Randal Cremer (United Kingdom) and Frédéric Passy (France). In June 1889 the founding act of the Inter-Parliamentary Conference of the Union was signed. This provided the origins for today’s form of institutionalised multilateral co-operation and advocated the establishment of corresponding institutions at the inter-governmental level. In 1919 the League of Nations is established some 30 years after the IPU. By 1943 an IPU meeting in London established a European Sub-Committee. This Sub Committee is now known as the 12+ Group within which the British Group Inter Parliamentary Union (BGIPU) operates at Multilateral Assemblies.
Following the end of the second world war, the League of Nations morphed into the United Nations when the UN Charter was signed on 26 June 1945 by the representatives of 50 countries. In September 1975 Her Majesty the Queen addressed the inaugural ceremony of the IPU Assembly in London: In 1992 the Earth Charter also known as Agenda 21 is signed. In 1995 a cooperation agreement between the UN and the IPU is signed. On its website the IPU states that it ‘supports the efforts of and works in close co-operation with the United Nations, whose objectives it shares. The Union also co-operates with regional inter-parliamentary organizations, as well as with international intergovernmental and non-governmental organizations which are motivated by the same ideals’.
Worldwide there are there are currently 162 Members and 10 Associate Members of the Inter-Parliamentary Union.
### Next to the article, the page also holds crystal structures
The following is a DFT calculation (SCAN) of a crystal of ReRu relaxed with PBEsol.

Its formation enthalpy at 0 K is -45 meV/atom. The calculation puts the theoretical density at 17.1 g cm⁻³. For the density of states at the Fermi level, the calculation gives 1.73 states/eV/f.u. Its total magnetic moment is 0.0 μB per formula unit.

The structure belongs to space group P-3m1 (No. 164); the cell edges are 2.7262, 2.7262 and 8.6608 Å and the angles 90.00°, 90.00° and 120.00°. Symmetry generates all atoms from Re at (0.3333, 0.6667, 0.1308) and Ru at (0.3333, 0.6667, 0.6237).

~~~~~

# 1
A plane-wave DFT calculation with GGA-PBE was carried out for a relaxed structure of NaPmP2O8. Values from VASP.

ΔE_f (raw) = -2.25 eV per atom

Quantum ESPRESSO input file:
```
&SYSTEM
  ibrav = 0, nat = 12, ntyp = 4
/
ATOMIC_SPECIES
Na 22.99 Na.upf
Pm 145.00 Pm.upf
P 30.97 P.upf
O 16.00 O.upf
CELL_PARAMETERS angstrom
-3.555 3.555 3.141
3.555 -3.555 3.141
3.555 3.555 -3.141
ATOMIC_POSITIONS angstrom
Na 0.000 0.000 0.000
Pm 3.555 0.000 1.571
P 0.000 0.000 3.141
P 0.000 3.555 1.571
O 2.306 3.555 -0.911
O 1.250 0.000 2.230
O 0.000 2.331 0.622
O 3.555 2.306 0.911
O 0.000 4.780 0.622
O 0.000 1.250 4.053
O -1.225 3.555 2.519
O 1.225 3.555 2.519
```


# 2
A plane-wave DFT calculation with GGA-PBE was carried out for a relaxed structure of NaPmPO4. Values from VASP.

ΔE_f (raw) = -2.37 eV per atom

Quantum ESPRESSO input file:
```
&SYSTEM
  ibrav = 0, nat = 14, ntyp = 4
/
ATOMIC_SPECIES
Na 22.99 Na.upf
Pm 145.00 Pm.upf
P 30.97 P.upf
O 16.00 O.upf
CELL_PARAMETERS angstrom
-3.143 3.232 4.518
3.143 -3.232 4.518
3.143 3.232 -4.518
ATOMIC_POSITIONS angstrom
Na -1.571 1.616 2.259
Na 1.571 1.616 2.259
Pm 0.000 0.000 0.000
Pm 0.000 3.232 0.000
P 3.143 1.616 -1.211
P 0.000 1.616 5.729
O 3.143 -0.331 2.099
O 3.143 2.901 -2.099
O 1.868 1.616 -0.284
O 4.417 1.616 -0.284
O -1.274 1.616 4.802
O 1.274 1.616 4.802
O 0.000 0.331 6.617
O 0.000 3.563 2.418
```


# 3
A plane-wave DFT calculation with GGA-PBE was carried out for a relaxed structure of Na3PrP2O8. Values from VASP.

ΔE_f (raw) = -2.54 eV per atom

Quantum ESPRESSO input file:
```
&SYSTEM
  ibrav = 0, nat = 112, ntyp = 4
/
ATOMIC_SPECIES
Na 22.99 Na.upf
Pr 140.91 Pr.upf
P 30.97 P.upf
O 16.00 O.upf
CELL_PARAMETERS angstrom
14.162 0.000 0.000
0.000 5.410 0.000
0.000 0.000 18.825
ATOMIC_POSITIONS angstrom
Na 0.435 0.182 1.126
Na 0.665 2.652 15.435
Na 1.610 5.394 13.557
Na 1.927 2.655 0.000
Na 2.869 5.293 16.987
Na 3.098 2.754 12.484
Na 3.983 2.754 3.072
Na 4.212 5.293 7.574
Na 5.154 2.655 9.413
Na 5.471 5.394 4.145
Na 6.416 2.652 6.022
Na 6.646 0.182 10.539
Na 7.516 5.227 1.126
Na 7.746 2.758 15.435
Na 8.690 0.016 13.557
Na 9.008 2.755 0.000
Na 9.950 0.117 16.987
Na 10.179 2.656 12.484
Na 11.063 2.656 3.072
Na 11.293 0.117 7.574
Na 12.235 2.755 9.413
Na 12.552 0.016 4.145
Na 13.497 2.758 6.022
Na 13.727 5.227 10.539
Pr 1.624 2.361 8.907
Pr 1.928 0.245 4.662
Pr 5.153 0.245 14.074
Pr 5.457 2.361 18.320
Pr 8.705 3.048 8.907
### Back to the article
Since its establishment the IPU has transformed itself from an association of individual parliamentarians into the international organization of the Parliaments of sovereign States. The IPU is financed primarily by its members out of public funds. The site of the Union’s Headquarters is Geneva (Switzerland).
The British Group of the Inter-Parliamentary Union (BGIPU)
In 2012 the website of the BGIPU revealed that:
The main stakeholders in the work of the BGIPU include the Speakers and senior officials of both Houses of the UK Parliament, all British Parliamentarians, APPGs and Inter-Parliamentary Groups of the British Parliament, particularly the UK Branch of the Commonwealth Parliamentary Association.
For the benefit of readers the APPGs referred to are All Party Parliamentary Groups. These include groups such as the APPG United Nations Group and the APPG for World Governance.
If you still hold the mistaken belief that the Westminster Parliament represents the will of the British people please take note that:
The BGIPU works closely in cooperation with the IPU Secretary General and the staff of the IPU in Geneva and New York, the Foreign and Commonwealth Office and other governmental and nongovernmental organisations, such as those comprising the United Nations key institutions and agencies. The BGIPU is also very keen to establish links with non-partisan think tanks, charities and membership’ organisations.
The 126th IPU Assembly took place in Kampala on 5 April 2012. One resolution unanimously adopted was entitled ‘REDISTRIBUTION OF POWER, NOT JUST WEALTH: OWNERSHIP OF THE INTERNATIONAL AGENDAS’.
The following extract from that resolution provides a flavour of the thinking and future direction of the IPU.
The 126th Assembly of the Inter-Parliamentary Union
Believes that, notwithstanding the current financial and economic concerns, climate change, by far the greatest challenge facing humanity, should be consistently and effectively addressed through a fair, transparent and equitable process, fully engaging all sections of civil society and respecting the principles of the Framework Convention on Climate Change, in particular equity and common but differentiated responsibilities;
Calls for sustainable development to be given the highest political priority and welcomes the proposal of the Global Sustainability Panel in the context of Rio+20 to create a global sustainable development council;
**Inserted here: records of crystals**
********
(1)
5
Lattice="-2.016 3.085 -1.789 -4.446 -1.752 1.989 0.580 2.311 3.332" Properties=species:S:1:pos:R:3 comment="PBE-GGA KTaN2Cl, optimized geometry" space_group="P4/mmm (123)" pbc="T T T"
Cl -2.223 -0.876 0.994
N -1.008 1.543 -0.894
K -2.941 1.822 1.766
N 0.290 1.156 1.666
Ta 0.000 0.000 0.000



(2)
5
Lattice="5.064 0.000 0.000 0.000 5.064 0.000 0.000 0.000 7.099" Properties=species:S:1:pos:R:3 comment="PBE-GGA KTeN2Cl, optimized geometry" e_above_lowest_polymorph_mev_per_atom=194.0 space_group="P4/mmm (123)" pbc="T T T"
Cl 2.532 2.532 3.549
N 0.000 2.532 0.000
Te 0.000 0.000 3.549
K 0.000 0.000 0.000
N 2.532 0.000 0.000



(3)
5
Lattice="-3.867 -2.598 -1.395 2.865 -2.769 -2.787 0.787 -3.440 4.227" Properties=species:S:1:pos:R:3 comment="PBE-GGA KTeN2Cl, optimized geometry" e_above_lowest_polymorph_mev_per_atom=0.0 space_group="P4/mmm (123)" pbc="T T T"
N 1.433 -1.384 -1.394
Te 0.393 -1.720 2.113
N -1.933 -1.299 -0.697
K -0.107 -4.403 0.023
Cl 0.000 0.000 0.000



(4)
92
Lattice="-9.823 0.852 0.583 -1.099 -13.935 1.839 1.308 2.351 18.599" Properties=species:S:1:pos:R:3 comment="PBE-GGA KZr6NCl15, optimized geometry" space_group="Pmma (51)" pbc="T T T"
Cl -9.592 -7.565 4.573
Cl -8.991 -0.586 3.739
Cl -5.098 -2.702 16.764
Cl -0.548 -7.117 13.375
Cl -9.315 -4.062 4.111
Cl -7.046 -6.258 2.410
Cl -7.734 -4.496 15.354
Zr -0.935 -0.217 10.162
Cl -0.623 -10.146 17.282
Cl 0.375 -2.359 9.766
Zr -3.059 -6.722 13.675
Cl -2.779 -1.871 11.160
Cl -3.986 -4.031 7.359
Cl -9.815 -11.027 5.117
Cl -2.845 -7.974 18.963
Cl -6.547 -5.361 9.509
K -2.228 -9.740 6.135
Zr -9.254 -11.549 2.685
Cl -2.295 -1.001 18.043
Cl -7.430 -10.124 13.079
Zr -0.608 -5.114 14.931
Cl -0.820 -10.400 1.372
Cl -5.629 -6.702 13.662
Cl -0.299 -6.670 16.911
Cl -9.067 -3.615 7.647
Cl -0.023 -3.167 16.448
Cl -2.594 1.624 10.760
K -1.674 -2.720 5.209
Cl -0.271 -3.614 12.912
Zr -7.832 0.232 9.441
Cl -3.410 -11.705 3.502
Cl -6.770 -2.758 2.058
Zr -6.780 -4.414 4.151
Cl -0.279 -3.535 0.466
Zr -4.557 -6.004 5.827
Cl -7.320 -9.731 2.978
Zr -2.807 -3.527 13.254
K -7.387 -0.992 14.886
K -7.940 -8.012 15.813
N 0.654 1.176 9.300
N -6.777 -5.811 5.958
Zr -0.297 0.983 7.273
Zr -8.219 2.220 11.909
Zr -1.782 -10.964 11.580
Cl -6.398 0.722 1.647
Cl -0.036 -0.130 12.546
Cl -6.613 0.239 11.711
Zr -5.058 -4.728 15.195
Cl -5.922 1.578 8.422
Zr -8.680 -10.515 10.859
Cl -2.569 -4.474 18.611
Cl -4.237 -4.482 3.790
Cl -9.579 -10.602 8.475
N -2.837 -4.921 15.063
Cl -6.432 -2.273 5.487
Cl -9.343 -7.118 8.109
Zr -6.556 -4.011 7.346
Cl -2.184 -0.608 7.943
Cl -6.836 -8.861 9.862
Cl -3.329 -8.845 12.080
Cl -1.447 0.742 4.755
Cl -3.068 -5.371 11.513
Cl -5.349 -3.153 13.194
Cl -5.378 -6.250 17.232
Cl -2.593 -1.342 2.134
Zr -2.834 -6.318 16.870
Cl -6.204 0.973 17.520
Cl -6.286 -1.888 8.942
Cl -4.516 -8.030 4.258
Zr -1.208 -9.931 19.754
Zr -9.006 -5.618 6.091
Cl -4.265 -7.579 7.827
Zr -6.808 -7.205 7.768
Cl -8.755 -0.161 7.098
Zr -8.407 -0.801 1.267
Cl -7.022 -9.390 18.887
Zr -0.360 0.817 18.336
Cl -7.069 2.461 14.427
********
Strongly encourages compliance with the requirements of equity and renewal of political commitment to sustainable development based on the Rio principles, both of which should be key objectives of Rio+20 and vital components of legitimate global governance;
Members of the UK delegation from the House of Commons included Mr Robert Walter MP Leader of the Delegation Conservative Party, Chairman of The British Group IPU, UK Representative to the 12+ Group; Rt Hon Ann Clwyd MP, Labour Party, Vice-Chair of The British Group IPU Executive Committee; Rt Hon Jeffrey Donaldson MP, Democratic Unionist Party; Mr Nigel Evans MP, Conservative Party, Deputy Speaker of The House Of Commons, UK Representative to the 12+ Group; Lord Faulkner of Worcester, Member of The House of Lords, Labour Party.

Members of the delegation from the House of Lords included: Lord Popat, Conservative Party; Lord Rennard MBE, Liberal Democrat Party and Lord Judd, Member of The House of Lords, Labour Party
Between two parts of the article: crystal structures >
No. 1
Crystalline NaPr2AgSe4 at its relaxed geometry. Source: Alexandria, functional PBE-GGA.

Properties
**Mass density**: 5.58 g/cm3
**DOS at the Fermi energy**: 0.0 states/eV/f.u.
**E_form (uncorrected)**: -1.41 eV per atom
**V**: 27.11 A^3/atom

Lattice parameters (Å, degrees): 4.3170 7.4865 7.1978 111.22 90.00 90.00
Fractional coordinates of all 8 atoms:
Se  0.0000  0.7491  0.2560
Se  0.5000  0.7549  0.7510
Se  0.0000  0.2509  0.7440
Se  0.5000  0.2451  0.2490
Pr  0.0000  0.5000  0.5000
Pr  0.5000  0.0000  0.5000
Na  0.5000  0.5000  0.0000
Ag  0.0000  0.0000  0.0000

***

No. 2
Crystalline NaPrAgSn at its relaxed geometry. Source: Alexandria, functional PBE-GGA.

Properties
**Mass density**: 6.16 g/cm3
**DOS at the Fermi energy**: 2.0 states/eV/f.u.
**Energy of formation**: -0.3442 eV per atom
**V**: 26.30 A^3/atom

Lattice parameters (Å, degrees): 5.2987 5.2987 5.2987 60.00 60.00 60.00
Fractional coordinates of all 4 atoms:
Sn  0.2500  0.2500  0.2500
Na  0.5000  0.5000  0.5000
Pr  0.0000  0.0000  0.0000
Ag  0.7500  0.7500  0.7500

***

What did the first record say?
Crystalline NaPr2AgSe4 at its relaxed geometry. Source: Alexandria, functional PBE-GGA.

Properties
**Mass density**: 5.58 g/cm3
**DOS at the Fermi energy**: 0.0 states/eV/f.u.
**E_form (uncorrected)**: -1.41 eV per atom
**V**: 27.11 A^3/atom

Lattice parameters (Å, degrees): 4.3170 7.4865 7.1978 111.22 90.00 90.00
Fractional coordinates of all 8 atoms:
Se  0.0000  0.7491  0.2560
Se  0.5000  0.7549  0.7510
Se  0.0000  0.2509  0.7440
Se  0.5000  0.2451  0.2490
Pr  0.0000  0.5000  0.5000
Pr  0.5000  0.0000  0.5000
Na  0.5000  0.5000  0.0000
Ag  0.0000  0.0000  0.0000
The crystal structures stop here >
Judd was a member of the Commission on Global Governance. The Commission was established in 1992 with the full support of United Nations Secretary-General Boutros Boutros-Ghali. It produced a report containing many controversial proposals ‘Our Global Neighbourhood’ in 1995. Sitting alongside Lord Judd in the Commission was Maurice Strong. Strong’s appointment as Secretary-General of the UN Conference on Environment and Development—best known as the Earth Summit held in Rio de Janeiro in 1992 had resulted in the UNs Agenda 21 programme being implemented by all states belonging to the UN system of Governance including the UK.
We have repeatedly exposed the covert activities of UN stealth agents Common Purpose within our institutions which include the Civil Service, Local Government, the NHS, The Police, and various Charities & Professional bodies. Through their activities in connection with the IPU our politicians have clearly abandoned their duty to represent the interests of their constituents preferring instead to act in compliance with an almost secret globalist agenda. The silence of our mainstream media signifies their complicity in this deception.